ASARECA’s work is based on priorities identified by the National Agricultural Research Systems (NARS) of its Member States. This is achieved through consultations organised by ASARECA Secretariat, the ASARECA Council of Patron Ministers, the Committee of Directors General of the National Agricultural Research Institutes (NARIs) supported by their subject matter specialists and other national AR4D experts and multi-stakeholders. The 15 Member States are: Burundi, Cameroun, Central African Republic, Democratic Republic of Congo, Eritrea, Ethiopia, Federal Republic of Somalia, Kenya, Madagascar, Republic of Congo, Rwanda, South Sudan, Sudan, Tanzania, and Uganda.

ASARECA Stakeholders and clients:

Quantum chemistry results, as found in the file:
DFT (ωB97M-V/def2-TZVPD) results for a molecular structure, C23H23I2MnN6OS.

Spin multiplicity: 2
Gap between HOMO and LUMO (spin up / spin down), Ha: 0.2385 / 0.2424
Energy relative to the best compared isomer or geometry (same formula, charge and spin), kcal per mole: 46.5
⟨S²⟩: 1.172
Total charge: +1
HOMO level (spin up / spin down), eV: -9.64 / -9.73

Each line ends with the Mulliken charge.
Cartesian coordinates (Å):
Mn 1.4201 -0.4975 -0.2941  0.034
I -4.2963 -4.2866 1.5818  0.130
C -2.4270 -3.4234 1.3610  -0.508
C -1.8821 -2.6671 2.3319  -0.244
C -0.5993 -2.0008 2.1143  0.562
I 0.5037 -1.8492 3.9017  0.167
C 0.1957 -2.4643 0.9998  0.499
O 1.4025 -2.1210 0.8687  -0.873
C -0.4807 -3.1413 -0.0785  -0.083
C 0.2586 -3.1472 -1.3812  -1.230
N 0.4797 -1.7236 -1.7580  0.095
C 1.2375 -1.5350 -3.0025  -0.819
C 1.6579 -0.0905 -3.1281  0.553
C 2.1079 0.4508 -4.3245  -0.973
C 2.4736 1.7820 -4.3551  -0.226
C 2.3707 2.5479 -3.1976  -0.872
C 1.9238 1.9366 -2.0477  -0.310
N 1.5803 0.6395 -2.0155  0.197
C -1.7320 -3.6088 0.1107  0.050
H -2.4091 -2.4743 3.2570  0.475
H -0.3153 -3.6720 -2.1491  0.399
H 1.2308 -3.6298 -1.2814  0.504
H -0.4514 -1.3121 -1.9020  -0.473
H 0.6500 -1.8142 -3.8817  0.564
H 2.1193 -2.1811 -2.9917  0.384
H 2.1599 -0.1683 -5.2105  0.479
H 2.8313 2.2257 -5.2750  0.424
H 2.6352 3.5956 -3.1861  0.431
H 1.8231 2.4761 -1.1138  0.481
H -2.2386 -4.1290 -0.6955  0.398
N 2.8282 0.5157 0.8915  -0.180
C 2.1468 1.4641 1.7607  0.246
C 2.7783 2.4727 2.4568  -0.796
C 2.0527 3.2313 3.3769  -0.833
C 0.7234 2.9199 3.6160  -0.889
C 0.0872 1.9061 2.9017  0.759
C -1.2842 1.4773 3.1207  -1.133
C -1.7699 0.4103 2.4801  -1.077
C -0.9574 -0.3155 1.4693  0.628
N 0.2071 0.3033 1.0569  0.716
C 0.7917 1.2140 1.9157  0.497
H 3.0375 -0.3099 1.4575  0.321
H 3.7209 0.8874 0.5876  0.346
H 3.8391 2.6518 2.3141  0.399
H 2.5385 4.0272 3.9235  0.406
H 0.1659 3.4589 4.3739  0.453
H -1.8978 2.0195 3.8319  0.427
H -2.7765 0.0541 2.6668  0.645
H -1.5663 -0.6154 0.6238  -0.474
N -2.6900 1.7885 -1.0030  -0.367
C -3.4321 0.6807 -1.1390  0.882
N -4.7422 0.8006 -0.8777  -0.425
S -2.7594 -0.8105 -1.5661  -0.449
H -3.0759 2.6683 -0.7065  0.191
H -1.6927 1.7003 -1.0880  0.085
H -5.1760 1.6851 -0.6771  0.189
H -5.3267 -0.0031 -1.0256  0.219

***

DFT (ωB97M-V/def2-TZVPD) results for a molecular structure, C18H53BaNO23S2Zn.

Gap between HOMO and LUMO, Ha: 0.2915
HOMO level, eV: -8.62

Each line ends with the Mulliken charge.
Cartesian coordinates (Å):
Ba 1.6255 -3.3771 2.5336  2.064
Zn -1.4686 -2.5309 -0.4008  1.411
S -1.4078 -4.8365 0.8984  1.011
O -2.3082 -3.6468 1.0890  -0.811
O -0.8050 -4.3951 -0.4299  -0.725
O -0.3151 -4.9007 1.9073  -0.772
O -2.1140 -6.0650 0.7407  -0.679
S -0.5151 -0.3828 0.8385  1.696
O -1.7892 -0.5941 0.0655  0.210
O 0.0378 -1.7840 0.7935  -1.205
O 0.3815 0.5502 0.1454  0.019
O -0.7847 -0.0604 2.2466  -0.418
C -3.3847 1.6607 -2.1217  -0.392
C -2.0199 2.2894 -2.1233  -0.214
O -1.0024 1.3163 -2.1528  -0.309
O -3.6791 1.0465 -0.9142  -0.555

ASARECA works with a wide range of stakeholders from the National, Regional, Continental and Global Stakeholders, whose interests are at the core of our work. The stakeholders and clients include: 


ASARECA works with multi-stakeholders towards achieving its mandate through the following approaches and mechanisms:

Context and background to ASARECA work

Smallholder farmers in Eastern and Central Africa face similar challenges. Many use poor quality inputs such as seeds and farm implements. Their farms are often under the threat of attack by menacing pests, diseases and weeds. This situation is aggravated by variable weather and declining natural resource base; lack of access to input and output markets, and limiting trade policies. As a result, farmers get poor yields from their crops and animals leading to high levels of poverty.

== The text is interrupted by calculated molecules ==
~~~
No. 1
This record from the Open Molecules 2025 dataset describes an isolated molecule of C2H3Cl3S in a non-equilibrium geometry. The level of theory is wB97M-V/def2-TZVPD.

spin multiplicity	3
energy above the lowest of the compared OMol25 structures with the same formula, charge and spin	56.4	kcal per mole
frontier orbital gap (spin up / spin down)	0.202 / 0.269	hartree
total energy	-50519.324	eV
expectation value of S²	2.005

Cartesian coordinates (Å):
C (0.66, 0.20, 0.09)
C (-1.06, 0.11, 0.58)
S (0.88, 0.02, -1.68)
Cl (1.63, -0.91, 1.04)
Cl (-1.70, -1.02, -0.54)
Cl (-1.64, 1.77, 0.36)
H (0.83, 1.29, 0.06)
H (-1.08, -0.21, 1.67)
H (1.48, -1.24, -1.59)

No. 2
This record from the Open Molecules 2025 dataset describes an isolated molecule of C2H3Cl3Si in a non-equilibrium geometry. The level of theory is wB97M-V/def2-TZVPD.

structure (SMILES)	[SiH3]C(Cl)=C(Cl)Cl
energy above the lowest of the compared OMol25 structures with the same formula, charge and spin	171.5	kcal per mole
frontier orbital gap (spin up / spin down)	0.288 / 0.297	hartree
total energy	-47563.676	eV

Cartesian coordinates (Å):
C (0.52, 0.09, 0.50)
C (-0.94, -0.54, 1.13)
Si (0.53, 0.39, -1.39)
Cl (1.78, -0.01, 1.63)
Cl (-0.86, -1.06, 2.72)
Cl (-2.30, -0.71, 0.17)
H (-0.15, 1.73, -1.47)
H (-0.55, -0.63, -1.70)
H (1.96, 0.75, -1.60)

No. 3
This record from the Open Molecules 2025 dataset describes an isolated molecule of C2H3ClF2N2 in a non-equilibrium geometry. The level of theory is wB97M-V/def2-TZVPD.

structure (SMILES)	N/N=C/C(F)(F)Cl
energy above the lowest of the compared OMol25 structures with the same formula, charge and spin	26.7	kcal per mole
frontier orbital gap	0.394	hartree
total energy	-23059.068	eV

Cartesian coordinates (Å):
C (-0.09, -0.37, -0.22)
C (-1.54, -0.14, 0.04)
H (2.49, 1.11, 0.57)
H (2.41, -0.46, -0.02)
H (0.17, -1.28, -0.70)
N (2.02, 0.44, -0.07)
N (0.69, 0.54, 0.09)
F (-1.88, -0.63, 1.25)
F (-2.26, -0.79, -0.89)
Cl (-2.00, 1.58, -0.04)

No. 4
This record from the Open Molecules 2025 dataset describes an isolated molecule of C2H3ClF2N2O in a non-equilibrium geometry. The level of theory is wB97M-V/def2-TZVPD.

structure (SMILES)	NNC(=O)C(F)(F)Cl
energy above the lowest of the compared OMol25 structures with the same formula, charge and spin	0.0	kcal per mole
frontier orbital gap	0.409	hartree
total energy	-25107.117	eV

Cartesian coordinates (Å):
C (-0.56, -0.95, -0.11)
C (-0.15, 0.38, 0.58)
H (2.22, -1.18, -0.36)
H (1.65, -0.33, -1.75)
H (0.00, -2.39, -1.39)
N (1.67, -1.22, -1.24)
N (0.36, -1.59, -0.90)
O (-1.68, -1.32, 0.04)
F (-1.08, 0.76, 1.47)
F (0.98, 0.25, 1.29)
Cl (0.03, 1.68, -0.56)

No. 5
This record from the Open Molecules 2025 dataset describes an isolated molecule of C2H3ClF2O in a non-equilibrium geometry. The level of theory is wB97M-V/def2-TZVPD.

structure (SMILES)	FCO[C@H](F)Cl
energy above the lowest of the compared OMol25 structures with the same formula, charge and spin	37.6	kcal per mole
frontier orbital gap	0.432	hartree
~~~

Although all these cannot be tackled at national level because the national systems have inadequate capacities to manage these challenges comprehensively. ASARECA is addressing these challenges in a regionally coordinated manner in collaboration with its stakeholders, clients and partners.

Misplaced molecular data
<<<
Molecular formula: C37H74O15
Method: DFT, ωB97M-V/def2-TZVPD

The geometry in XYZ format:
```
126
Properties=species:S:1:pos:R:3:forces:R:3
O -2.236794 1.786476 2.348619 2.43 1.39 -0.46
C -1.090794 2.313476 2.441619 -4.54 -4.28 2.77
O -0.734794 3.322476 1.766619 2.10 2.17 -0.37
C -1.657794 3.869476 0.816619 4.62 -1.83 -4.15
C -1.098794 5.123476 0.198619 -1.18 0.93 0.55
C -0.124794 1.670476 3.405619 0.21 0.80 1.11
H -2.358794 4.116476 1.353619 -8.06 2.18 5.09
H -1.914794 3.085476 0.092619 -0.41 0.43 0.32
H -0.811794 5.829476 1.117619 0.11 -1.34 -2.58
H -1.905794 5.623476 -0.427381 0.61 -0.46 1.13
H -0.433794 4.741476 -0.588381 0.29 1.72 1.11
H 0.550206 1.137476 2.761619 0.35 -0.84 0.07
H -0.582794 1.088476 4.258619 0.03 0.23 -1.67
H 0.500206 2.370476 3.955619 0.11 0.56 -0.33
O -1.290794 1.089476 -0.837381 0.27 0.01 0.97
C -0.300794 1.337476 -0.221381 4.00 -1.34 1.19
O 0.473206 0.323476 0.538619 -1.34 3.57 -1.70
C -0.131794 -0.937524 0.680619 4.77 -2.06 -0.20
C 0.619206 -1.765524 1.797619 -0.64 1.65 2.09
C 0.473206 2.705476 -0.373381 -0.03 -3.73 -0.68
H -0.144794 -1.464524 -0.289381 0.28 0.03 0.25
H -1.053794 -0.856524 1.024619 -1.12 0.79 0.11
H 0.500206 -1.316524 2.912619 0.85 -0.08 -2.71
H 1.597206 -1.968524 1.458619 1.56 0.26 0.21
H 0.186206 -2.728524 2.066619 0.49 0.84 -0.78
H -0.229794 3.414476 -0.028381 1.03 -0.38 -1.70
H 0.751206 2.587476 -1.452381 -0.13 1.03 0.91
H 1.306206 2.800476 0.295619 0.67 -0.37 0.00
O -2.733794 -3.561524 6.996619 1.83 3.35 -3.03
C -2.235794 -2.743524 6.170619 -2.60 -0.94 3.56
O -2.058794 -1.360524 6.483619 0.15 -2.35 -2.63
C -2.745794 -0.799524 7.547619 0.23 0.44 3.07
C -2.321794 0.695476 7.690619 -0.12 -1.17 0.39
C -1.712794 -3.118524 4.806619 -0.03 -0.52 2.48
H -2.483794 -1.431524 8.441619 -0.51 0.86 -0.47
H -3.815794 -0.744524 7.459619 -0.64 -0.78 -0.54
H -2.640794 1.099476 6.708619 1.18 0.24 0.33
H -1.209794 0.616476 7.979619 -1.70 1.18 -0.71
H -3.004794 1.267476 8.412619 1.35 -1.11 -0.54
H -2.096794 -4.138524 4.591619 1.31 0.38 0.35
H -0.665794 -2.839524 5.039619 0.09 -1.10 -1.17
H -2.073794 -2.525524 4.030619 -0.44 1.24 -0.73
O 6.986206 -1.538524 1.312619 -0.50 -1.44 -0.72
C 6.964206 -2.736524 1.018619 -0.15 2.44 0.67
O 6.006206 -3.290524 0.261619 1.73 -1.71 1.91
C 4.931206 -2.472524 -0.191381 -0.98 -4.24 0.81
C 4.062206 -3.422524 -0.954381 3.22 -0.20 -1.99
C 8.049206 -3.624524 1.549619 0.74 -2.08 0.24
H 5.489206 -1.853524 -0.697381 1.55 4.28 -3.45
H 4.450206 -2.021524 0.592619 -1.08 1.19 2.13
H 3.735206 -4.291524 -0.422381 0.69 -0.86 0.18
H 4.528206 -3.517524 -2.005381 -0.34 -0.96 1.72
H 3.187206 -3.045524 -1.240381 -3.75 2.33 -0.75
H 8.894206 -3.788524 0.683619 -2.11 0.11 2.51
H 7.565206 -4.577524 1.990619 0.90 0.87 -1.61
H 8.433206 -3.225524 2.533619 0.08 0.31 -1.65
C 2.568206 5.927476 0.363619 2.11 -2.26 1.16
C 1.980206 6.950476 -0.503381 1.66 4.44 -2.73
O 2.559206 8.088476 -0.615381 -2.43 -3.99 0.53
C 0.734206 6.646476 -1.390381 4.24 -1.26 -2.73
H 3.549206 6.241476 0.802619 -1.23 0.75 0.09
>>>

ASARECA Achievements

Following 30 years of coordinating joint initiatives with its diverse stakeholders and partners, ASARECA has scored the following achievements:

ASARECA was established in 1994 by 10 Member States namely: Republic of Burundi, Democratic Republic of Congo, State of Eritrea, Federal Democratic Republic of Ethiopia, Republic of Kenya, Republic of Madagascar, Republic of Rwanda, Republic of the Sudan, United Republic of Tanzania, and the Republic of Uganda represented by their National Agricultural Research Institutes (NARIs).  The Republic of South Sudan joined the Association  in 2011, Republic of the Congo joined in 2019, while the Republic of Cameroon, Central African Republic, and the Federal Republic of Somalia were formally admitted to the Association in 2023.


Why ASARECA was established by the NARS

The founders established ASARECA to complement national efforts through collective action and cost-effective utilization of resources to improve the delivery and impact of scientific knowledge, policy options and technologies. The stakeholders therefore established ASARECA to undertake the following Core Functions, which have since evolved based on changing needs and priorities:

ASARECA’s current direction is enshrined in its ten-year ASARECA Strategy and Results Framework (A-SRF: 2019-2028). The Strategy is operationalized through two Medium Term Operational Plans (MTOP I (2019- 2023) and MTOP 2 (2024-2028), each covering a period of five years. Through the Strategies and MTOPs, ASARECA is mandated to deliver specific priority inclusive development outcomes in the sub-region by supporting the attainment of economies of scale in the conduct of priority regional research and significantly reducing duplication and misalignment of efforts and resources. ASARECA is therefore required to act as:


Thematic Interventions

ASARECA has committed to focus on the following four thematic areas and crosscutting issues that are well aligned to the major ongoing regional and continental initiatives.


In implementing its mandate, ASARECA is aligned to the major global, continental, regional, and national frameworks that include: